Wednesday, March 25, 2009

Claiming (for the first time) religious language

I preached a good sermon Sunday. (I'm endearingly modest, as you can tell.)

The subject was evangelism and during the course of the sermon, I used these words:
  • Evangelism
  • Holy Spirit
  • Sin
  • Redemption
  • Testimonial
  • God
  • Faith
  • Prayer
  • Revelation
People responded well. Really well. The kind of "really well" that scares you because, you know, people might start having expectations of you. Most gratifying -- the Born-Again-Atheist who doesn't even want the worship committee to be called a "worship" committee ... said it was the best sermon she'd ever heard.

Yikes. And yay.

There's been a lot of talk over the last few years about reclaiming a language of reverence. But you know, after chatting with some other UUs who are also cradle UUs, as I am, I realized that "reclaiming," for most of us, isn't it at all.

These words are, to us, new words.

I don't mean we'd never heard the words, I just mean that they were never on our radar.

It's like this: I'm not a sports fan. Now, I've heard the terms line of scrimmage, shortstop, top of the key, but I don't really know what they mean, and frankly, don't care.

But if I really got into football, I'd learn about the line of scrimmage. And I'd have an appreciation for it. I wouldn't have a chip on my shoulder about it -- I was never tackled on the line of scrimmage as a Little Leaguer -- it would be something new, and interesting. And I might find great value in it.

# What comes next are calculated crystals, not part of the text
+++
# Li17Mn4As8
Calculated powder XRD pattern, copper Kα. Input: a PBE-relaxed structure.

Top 10 peaks for 2θ = 10–80°, low angle first:
2θ (°)	d (Å)	I/Imax	(hkl)
10.28	8.606	113	0 1 0
14.46	6.126	150	0 1 -1
25.43	3.503	1000	1 2 0
29.58	3.020	122	0 2 2
41.90	2.156	148	0 0 4
42.05	2.149	450	0 4 0
42.33	2.135	293	2 2 2
49.42	1.844	78	1 2 -4
50.05	1.822	191	3 0 -2
77.26	1.235	93	2 6 2

Structural model:
a = 6.030 Å, b = 8.593 Å, c = 8.625 Å
α = 90.74°, β = 90.08°, γ = 90.06°
Atoms (fractional coordinates):
Li  0.000  0.000  0.000
Li  0.001  0.503  0.004
Li  0.234  0.748  0.499
Li  0.243  0.999  0.738
Li  0.258  0.751  0.999
Li  0.261  0.487  0.262
Li  0.268  0.251  0.018
Li  0.508  0.743  0.246
Li  0.509  0.754  0.750
Li  0.523  0.241  0.769
Li  0.727  0.250  0.039
Li  0.756  0.751  0.999
Li  0.759  0.005  0.264
Li  0.768  0.491  0.272
Li  0.768  0.500  0.738
Li  0.782  0.996  0.727
Li  0.788  0.747  0.499
Mn  0.243  0.250  0.505
Mn  0.248  0.493  0.738
Mn  0.261  0.010  0.263
Mn  0.772  0.249  0.500
As  0.007  0.252  0.758
As  0.012  0.744  0.758
As  0.013  0.754  0.241
As  0.014  0.245  0.256
As  0.503  0.005  0.503
As  0.503  0.494  0.508
As  0.504  0.503  0.991
As  0.504  0.996  0.000

~~~~~

[1]
Starting from DFT lattice parameters and positions (PBE), the powder diffraction line list of CaEr3Mg4 was simulated for a wavelength of 1.5418 Å.
Intensities are scaled so that the largest is 100.

Principal peaks in the range 10° ≤ 2θ ≤ 90°, most intense first:
d_spacing	2θ (°)	intensity
2.685	33.37	100
3.837	23.18	57
2.713	33.01	51
1.561	59.19	38
3.758	23.68	27
2.200	41.03	26
1.545	59.87	20
1.919	47.38	18

Atomic structure:
```
CaEr3Mg4
1.0
3.7579 0.0000 0.0000
0.0000 5.4262 0.0000
0.0000 0.0000 10.8545
Ca Er Mg
1 3 4
Direct
0.0000 0.0000 0.0000
0.0000 0.0000 0.5000
0.0000 0.5000 0.2555
0.0000 0.5000 0.7445
0.5000 0.0000 0.2566
0.5000 0.0000 0.7434
0.5000 0.5000 0.0000
0.5000 0.5000 0.5000
```

=====

[2]
Starting from DFT lattice parameters and positions (PBE), the powder diffraction line list of Ti4BrO7 was simulated for a wavelength of 1.5418 Å.
Intensities are scaled so that the largest is 100.

Principal peaks in the range 10° ≤ 2θ ≤ 90°, most intense first:
d_spacing	2θ (°)	intensity
4.362	20.36	100
5.106	17.37	65
3.627	24.55	58
3.407	26.16	38
3.019	29.59	26
2.026	44.72	24
2.324	38.74	23
2.403	37.42	21

Atomic structure:
```
Ti4BrO7
1.0
14.5663 0.0000 0.0000
0.0000 5.4467 0.0000
0.0000 0.0000 5.4552
Ti Br O
8 2 14
Direct
0.1110 0.1760 0.0000
0.2320 0.6014 0.0143
0.2680 0.3986 0.5143
0.3890 0.8240 0.5000
0.6110 0.8240 0.5000
0.7320 0.3986 0.5143
0.7680 0.6014 0.0143
0.8890 0.1760 0.0000
0.0000 0.9660 0.6635
0.5000 0.0340 0.1635
0.0000 0.2808 0.1144
0.1606 0.8639 0.0495
0.1732 0.3708 0.7668
0.1850 0.3398 0.2457
0.3150 0.6602 0.7457
0.3268 0.6292 0.2668
0.3394 0.1361 0.5495
0.5000 0.7192 0.6144
0.6606 0.1361 0.5495
0.6732 0.6292 0.2668
0.6850 0.6602 0.7457
0.8150 0.3398 0.2457
0.8268 0.3708 0.7668
0.8394 0.8639 0.0495
```

=====

[3]
+++
# Back to the text

Can we get off the sports metaphor? Because I'm kinda at the end of being able to fake it.

Anyway, for some of us, we don't bring in baggage attached to those terms. It's not about finding a new definition for the terms. It's about getting in and exploring them for maybe the first time. It's eye-opening. And heartening. "You mean sin means 'missing the mark'? Well, heck, I can relate to that!"

I think that for others, who did grow up with the words, there is a power in the reclaiming. And in saying, Hey, I'm not redefining a Christian term, I'm using a word that did not originally mean what they say it means.

Like worship.


  1. Anonymous9:22 AM

    I'm going to go out on a limb and suggest a book...if you haven't already read it...Its fiction but it explains the concept of God, Jesus, and the Holy Spirit in terms that if your like me you've asked questions about what is the relationship between the three are they one entity or are they three separate entities....It will make you cry and it will make you cheer...even if your not a "believer" its a great book! It's called "The Shack" by William Young. Read it and I beleive it would make a good topic of conversation on your blog. :)
    But of course that is just my opinion.

    Your cousin

  2. Will there be an audio file?

    I'd appreciate a post from you explaining how you made god-talk and Christian terms palatable to a largely humanist audience.

  3. I'm not cradle UU, my religious background is complicated but did include some time in a fundamentalist Christian church. I am reclaiming these words of power, too. Especially prayer & faith.

**Someone pasted calculated crystals at this point:**
┌──
Entry 1:
Starting from a PBE-relaxed structure, the X-ray powder pattern of PmEuMgRu was simulated for Cu Ka.
Lines closer than 0.1° are merged.

Structural model:
```
data_PmEuMgRu
_space_group_name_H-M_alt 'F -4 3 m'
_space_group_IT_number 216
_space_group_name_Hall 'F -4 2 3'
_cell_length_a 7.2823
_cell_length_b 7.2823
_cell_length_c 7.2823
_cell_angle_alpha 90.00
_cell_angle_beta 90.00
_cell_angle_gamma 90.00
loop_
_atom_site_label
_atom_site_fract_x
_atom_site_fract_y
_atom_site_fract_z
Pm1 0.0000 0.0000 0.0000
Eu1 0.0000 0.0000 0.5000
Mg1 0.2500 0.2500 0.7500
Ru1 0.2500 0.2500 0.2500
```

Top 10 peaks for 5 to 70 degrees two-theta, by angle:
hkl 1 1 1, 2θ 21.13, d = 4.204 Å, I 7.9
hkl 2 0 0, 2θ 24.45, d = 3.641 Å, I 19.2
hkl 2 2 0, 2θ 34.85, d = 2.575 Å, I 100.0
hkl 3 1 1, 2θ 41.11, d = 2.196 Å, I 4.1
hkl 2 2 2, 2θ 43.03, d = 2.102 Å, I 5.9
hkl 4 0 0, 2θ 50.10, d = 1.821 Å, I 17.7
hkl 3 3 1, 2θ 54.96, d = 1.671 Å, I 1.7
hkl 4 2 0, 2θ 56.51, d = 1.628 Å, I 8.1
hkl 4 2 2, 2θ 62.48, d = 1.486 Å, I 36.2
hkl 5 1 1, 2θ 66.74, d = 1.401 Å, I 1.3

=====

Entry 2:
Starting from a PBE-relaxed structure, the X-ray powder pattern of Eu3Mg5Si5 was simulated for Cu Ka.
Lines closer than 0.1° are merged.

Structural model:
```
data_Eu3Mg5Si5
_space_group_name_H-M_alt 'P n m a'
_space_group_IT_number 62
_cell_length_a 14.2761
_cell_length_b 4.4472
_cell_length_c 18.1571
_cell_angle_alpha 90.00
_cell_angle_beta 90.00
_cell_angle_gamma 90.00
loop_
_space_group_symop_operation_xyz
'x,y,z'
'-x,-y,-z'
'-x+1/2,-y,z+1/2'
'x+1/2,y,-z+1/2'
'x+1/2,-y+1/2,-z+1/2'
'-x+1/2,y+1/2,z+1/2'
'-x,y+1/2,-z'
'x,-y+1/2,z'
loop_
_atom_site_label
_atom_site_fract_x
_atom_site_fract_y
_atom_site_fract_z
Eu1 0.0883 0.2500 0.1544
Eu2 0.1357 0.7500 0.6930
Eu3 0.2085 0.7500 0.4873
Mg1 0.0223 0.2500 0.4397
Mg2 0.0370 0.7500 0.3117
Mg3 0.0532 0.2500 0.9572
Mg4 0.1636 0.7500 0.8726
Mg5 0.2348 0.7500 0.2733
Si1 0.0786 0.2500 0.8099
Si2 0.0925 0.2500 0.5762
Si3 0.1346 0.7500 0.0205
Si4 0.1501 0.2500 0.3275
Si5 0.2462 0.7500 0.1177
```

Top 10 peaks for 5 to 70 degrees two-theta, by angle:
hkl 1 0 2, 2θ 11.55, d = 7.661 Å, I 38.8
hkl 0 1 1, 2θ 20.55, d = 4.322 Å, I 52.1
hkl 1 1 1, 2θ 21.49, d = 4.134 Å, I 46.5
hkl 2 1 4, 2θ 30.81, d = 2.902 Å, I 32.3
hkl 3 1 3, 2θ 31.24, d = 2.863 Å, I 100.0
hkl 0 1 5, 2θ 31.78, d = 2.815 Å, I 48.9
hkl 4 1 0, 2θ 32.16, d = 2.784 Å, I 50.0
hkl 1 1 5, 2θ 32.44, d = 2.760 Å, I 64.8
hkl 4 1 1, 2θ 32.54, d = 2.751 Å, I 50.0
hkl 0 2 0, 2θ 40.57, d = 2.224 Å, I 46.5

=====

Entry 3:
Starting from a PBE-relaxed structure, the X-ray powder pattern of EuMn6 was simulated for Cu Ka.
Lines closer than 0.1° are merged.

Structural model:
```
data_EuMn6
_space_group_name_H-M_alt 'I m -3 m'
_space_group_IT_number 229
_space_group_name_Hall '-I 4 2 3'
_cell_length_a 6.1331
└──

    Where I am now, people are used to the regular minister, who uses religious language and chooses readings from a variety of scriptures each week. Where I've been, one could expect to be challenged on language and have to preach on it.

(Here the piece breaks off for materials data)
- - -
Structure and computed X-ray diffraction stick pattern of ZnWF4 (a structure optimized by DFT (GGA+U); CuKα).
Peak positions follow from Bragg's law for the DFT cell and can differ from measured ones.

The 12 most intense peaks (2θ from 5° to 70°), in order of rising 2θ:
two_theta	d (Å)	I/Imax	hkl
16.19	5.474	14.1	2 0 0
21.31	4.169	21.9	1 1 -1
26.88	3.317	100.0	1 1 1
30.32	2.948	24.2	0 2 0
32.72	2.737	7.1	4 0 0
34.56	2.596	10.2	4 0 -2
43.41	2.084	16.9	2 2 -2
45.21	2.006	34.0	2 0 2
51.78	1.766	25.1	3 3 -1
51.88	1.762	8.4	5 1 -3
54.93	1.672	14.1	7 1 -1
55.40	1.658	11.1	6 2 -2

Cell and atoms:
```
data_ZnWF4
_symmetry_space_group_name_H-M 'C 1 2 1'
_symmetry_Int_Tables_number 5
_cell_length_a 12.4238
_cell_length_b 5.9036
_cell_length_c 5.8881
_cell_angle_alpha 90.00
_cell_angle_beta 118.20
_cell_angle_gamma 90.00
loop_
_symmetry_equiv_pos_as_xyz
'x,y,z'
'-x,y,-z'
'x+1/2,y+1/2,z'
'-x+1/2,y+1/2,-z'
loop_
_atom_site_label
_atom_site_fract_x
_atom_site_fract_y
_atom_site_fract_z
- - -

    One colleague preached on what she called "wounded words," another recently did a take-off on George Carlin with the "Seven Words You Can't Say in this Church."

    I also would love to hear your sermon.

  4. Well done LE.

    "Can we get off the sports metaphor? Because I'm kinda at the end of being able to fake it."

    That latter sentence is probably one that someone in ministry might want to think twice about saying publicly, or even privately. . . ;-)

  5. Anonymous11:35 AM

    was gonna leave a comment but it started running kinda long.

    I think another word could be added to your list.


  6. If there are enough seminarians out there like, you, I have hope for the future of the denomination.

  7. @Fausto -- yours was one of the first UU blogs I began reading, and you've introduced me to many theological ideas over the years. So that's a compliment with much weight in my book, and I thank you.
